**File:**
<<<
# 1
DFT (PBE) results for a geometry-optimized ZnTcAs2 structure.

Values from the calculation:
As for the theoretical density: 7.95 g cm⁻³. As for the formation enthalpy at 0 K: 0.11 eV per atom. As for the spin magnetization: 0.0 μB/f.u. Its crystal system is monoclinic.

```
ZnTcAs2
1.0
4.492 -0.001 0.006
3.377 2.962 0.006
0.642 0.242 4.915
As Tc Zn
2 1 1
direct
0.022 0.022 0.973
0.478 0.478 0.527
0.750 0.750 0.750
0.250 0.250 0.250
```

# 2
DFT (PBE) results for a geometry-optimized ZnTcAs2 structure.

Values from the calculation:
As for the theoretical density: 8.16 g cm⁻³. As for the formation enthalpy at 0 K: 0.26 eV per atom. As for the spin magnetization: 0.3 μB/f.u. Its crystal system is orthorhombic.

```
ZnTcAs2
1.0
-3.467 2.878 0.300
-0.936 -2.422 -3.695
-1.605 -2.126 1.803
As Tc Zn
2 1 1
direct
0.000 0.000 0.000
0.500 0.500 0.000
0.500 0.000 0.500
0.000 0.500 0.500
```

# 3
DFT (PBE) results for a geometry-optimized ZnTc2As structure.

Values from the calculation:
As for the theoretical density: 8.74 g cm⁻³. As for the relative energy among the computed polymorphs: 0.194 eV/atom. As for the formation enthalpy at 0 K: 0.21 eV per atom. As for the spin magnetization: 0.0 μB/f.u. Its crystal system is trigonal.

```
ZnTc2As
1.0
4.269 0.000 0.000
2.134 3.697 0.000
2.134 1.232 4.050
Zn Tc As
1 2 1
direct
0.487 0.487 0.538
0.061 0.061 0.818
0.269 0.269 0.193
0.683 0.683 0.950
```

# 4
DFT (PBE) results for a geometry-optimized ZnTcAs2 structure.

Values from the calculation:
As for the theoretical density: 8.01 g cm⁻³. As for the formation enthalpy at 0 K: 0.24 eV per atom. As for the spin magnetization: 0.0 μB/f.u. Its crystal system is monoclinic.

```
ZnTcAs2
1.0
3.231 0.000 0.000
0.000 5.305 0.011
0.000 3.578 3.796
As Tc Zn
2 1 1
direct
0.000 0.000 0.000
0.500 0.500 0.000
0.500 0.500 0.500
0.000 0.000 0.500
```

What is the theoretical density in the third record? 8.74 g cm⁻³

Which value of spin magnetization does entry 1 give? 0.0 μB/f.u.

Which formula does entry 3 have? ZnTc2As

Among the records above, which one has the lowest theoretical density? number 1
>>>

**Work order:**
Transcribe only the lines above with the word "magnetization" in them.

**Solution:**
As for the theoretical density: 7.95 g cm⁻³. As for the formation enthalpy at 0 K: 0.11 eV per atom. As for the spin magnetization: 0.0 μB/f.u. Its crystal system is monoclinic.
As for the theoretical density: 8.16 g cm⁻³. As for the formation enthalpy at 0 K: 0.26 eV per atom. As for the spin magnetization: 0.3 μB/f.u. Its crystal system is orthorhombic.
As for the theoretical density: 8.74 g cm⁻³. As for the relative energy among the computed polymorphs: 0.194 eV/atom. As for the formation enthalpy at 0 K: 0.21 eV per atom. As for the spin magnetization: 0.0 μB/f.u. Its crystal system is trigonal.
As for the theoretical density: 8.01 g cm⁻³. As for the formation enthalpy at 0 K: 0.24 eV per atom. As for the spin magnetization: 0.0 μB/f.u. Its crystal system is monoclinic.
Which value of spin magnetization does entry 1 give? 0.0 μB/f.u.